Input
____________
# 1
# Y2InPd2 meta-GGA r2SCAN optimized geometry
data_Y2InPd2
_space_group_name_H-M_alt 'P 4/m b m'
_space_group_IT_number 127
_space_group_name_Hall '-P 4 2ab'
_cell_length_a 7.755
_cell_length_b 7.755
_cell_length_c 3.663
_cell_angle_alpha 90.00
_cell_angle_beta 90.00
_cell_angle_gamma 90.00
loop_
_atom_site_label
_atom_site_type_symbol
_atom_site_fract_x
_atom_site_fract_y
_atom_site_fract_z
Y1 Y 0.174 0.326 0.000
In1 In 0.000 0.000 0.500
Pd1 Pd 0.127 0.627 0.500
# **Spin magnetization**: 0.00 μB per cell
# **V**: 22.03 A^3/atom
# **Total DFT energy (no corrections)**: -22.75 eV/atom



# 2
# YbInPd meta-GGA r2SCAN optimized geometry
data_YbInPd
_space_group_name_H-M_alt 'P -6 2 m'
_space_group_IT_number 189
_space_group_name_Hall 'P -6 -2'
_cell_length_a 7.6338
_cell_length_b 7.6338
_cell_length_c 3.7278
_cell_angle_alpha 90.00
_cell_angle_beta 90.00
_cell_angle_gamma 120.00
loop_
_atom_site_label
_atom_site_type_symbol
_atom_site_fract_x
_atom_site_fract_y
_atom_site_fract_z
Yb1 Yb 0.0000 0.4069 0.0000
In1 In 0.0000 0.7374 0.5000
Pd1 Pd 0.0000 0.0000 0.0000
Pd2 Pd 0.3333 0.6667 0.5000
# **Spin magnetization**: 0.00 μB per cell
# **V**: 20.90 A^3/atom
# **Total DFT energy (no corrections)**: -28.26 eV/atom



# 3
# YbIn2Pd meta-GGA r2SCAN optimized geometry
data_YbIn2Pd
_space_group_name_H-M_alt 'C m c m'
_space_group_IT_number 63
_space_group_name_Hall '-C 2c 2'
_cell_length_a 4.457
_cell_length_b 10.401
_cell_length_c 7.400
_cell_angle_alpha 90.00
_cell_angle_beta 90.00
_cell_angle_gamma 90.00
loop_
_atom_site_label
_atom_site_type_symbol
_atom_site_fract_x
_atom_site_fract_y
_atom_site_fract_z
Yb1 Yb 0.000 0.074 0.250
In1 In 0.000 0.363 0.048
Pd1 Pd 0.000 0.207 0.750
# **Spin magnetization**: 0.00 μB per cell
# **V**: 21.44 A^3/atom
# **Total DFT energy (no corrections)**: -26.88 eV/atom



# 4
# YbInPd2 meta-GGA r2SCAN optimized geometry
data_YbInPd2
_space_group_name_H-M_alt 'F m -3 m'
_space_group_IT_number 225
_space_group_name_Hall '-F 4 2 3'
_cell_length_a 6.673
_cell_length_b 6.673
_cell_length_c 6.673
_cell_angle_alpha 90.00
_cell_angle_beta 90.00
_cell_angle_gamma 90.00
loop_
_atom_site_label
_atom_site_type_symbol
_atom_site_fract_x
_atom_site_fract_y
_atom_site_fract_z
Yb1 Yb 0.000 0.000 0.000
In1 In 0.000 0.000 0.500
Pd1 Pd 0.250 0.250 0.250
# **Spin magnetization**: 0.00 μB per cell
# **V**: 18.58 A^3/atom
# **Total DFT energy (no corrections)**: -27.18 eV/atom



# 5
# ZnInPd2 meta-GGA r2SCAN optimized geometry
data_ZnInPd2
_space_group_name_H-M_alt 'F m -3 m'
_space_group_IT_number 225
_space_group_name_Hall '-F 4 2 3'
_cell_length_a 6.327
_cell_length_b 6.327
_cell_length_c 6.327
_cell_angle_alpha 90.00
_cell_angle_beta 90.00
_cell_angle_gamma 90.00
loop_
_atom_site_label
_atom_site_type_symbol
_atom_site_fract_x
_atom_site_fract_y
_atom_site_fract_z
Zn1 Zn 0.000 0.000 0.000
In1 In 0.000 0.000 0.500
Pd1 Pd 0.250 0.250 0.250
# **Spin magnetization**: 0.00 μB per cell
# **V**: 15.83 A^3/atom
# **Total DFT energy (no corrections)**: -19.90 eV/atom



# 6
# PmInRh2 meta-GGA r2SCAN optimized geometry
data_PmInRh2
_space_group_name_H-M_alt 'F m -3 m'
_space_group_IT_number 225
_space_group_name_Hall '-F 4 2 3'
_cell_length_a 6.701
_cell_length_b 6.701
_cell_length_c 6.701
_cell_angle_alpha 90.00
_cell_angle_beta 90.00
_cell_angle_gamma 90.00
loop_
_atom_site_label
_atom_site_type_symbol
_atom_site_fract_x
_atom_site_fract_y
_atom_site_fract_z
Pm1 Pm 0.000 0.000 0.000
In1 In 0.000 0.000 0.500
Rh1 Rh 0.250 0.250 0.250
# **Spin magnetization**: 0.00 μB per cell
# **V**: 18.80 A^3/atom
# **Total DFT energy (no corrections)**: -25.81 eV/atom



# 7
# PmSmIn2 meta-GGA r2SCAN optimized geometry
data_PmSmIn2
_space_group_name_H-M_alt 'F m -3 m'
_space_group_IT_number 225
_space_group_name_Hall '-F 4 2 3'
_cell_length_a 7.655
_cell_length_b 7.655
_cell_length_c 7.655
_cell_angle_alpha 90.00
_cell_angle_beta 90.00
_cell_angle_gamma 90.00
loop_
_atom_site_label
_atom_site_type_symbol
_atom_site_fract_x
____________
Job
Return the whole of the contents further above character by character.
Done
# 1
# Y2InPd2 meta-GGA r2SCAN optimized geometry
data_Y2InPd2
_space_group_name_H-M_alt 'P 4/m b m'
_space_group_IT_number 127
_space_group_name_Hall '-P 4 2ab'
_cell_length_a 7.755
_cell_length_b 7.755
_cell_length_c 3.663
_cell_angle_alpha 90.00
_cell_angle_beta 90.00
_cell_angle_gamma 90.00
loop_
_atom_site_label
_atom_site_type_symbol
_atom_site_fract_x
_atom_site_fract_y
_atom_site_fract_z
Y1 Y 0.174 0.326 0.000
In1 In 0.000 0.000 0.500
Pd1 Pd 0.127 0.627 0.500
# **Spin magnetization**: 0.00 μB per cell
# **V**: 22.03 A^3/atom
# **Total DFT energy (no corrections)**: -22.75 eV/atom



# 2
# YbInPd meta-GGA r2SCAN optimized geometry
data_YbInPd
_space_group_name_H-M_alt 'P -6 2 m'
_space_group_IT_number 189
_space_group_name_Hall 'P -6 -2'
_cell_length_a 7.6338
_cell_length_b 7.6338
_cell_length_c 3.7278
_cell_angle_alpha 90.00
_cell_angle_beta 90.00
_cell_angle_gamma 120.00
loop_
_atom_site_label
_atom_site_type_symbol
_atom_site_fract_x
_atom_site_fract_y
_atom_site_fract_z
Yb1 Yb 0.0000 0.4069 0.0000
In1 In 0.0000 0.7374 0.5000
Pd1 Pd 0.0000 0.0000 0.0000
Pd2 Pd 0.3333 0.6667 0.5000
# **Spin magnetization**: 0.00 μB per cell
# **V**: 20.90 A^3/atom
# **Total DFT energy (no corrections)**: -28.26 eV/atom



# 3
# YbIn2Pd meta-GGA r2SCAN optimized geometry
data_YbIn2Pd
_space_group_name_H-M_alt 'C m c m'
_space_group_IT_number 63
_space_group_name_Hall '-C 2c 2'
_cell_length_a 4.457
_cell_length_b 10.401
_cell_length_c 7.400
_cell_angle_alpha 90.00
_cell_angle_beta 90.00
_cell_angle_gamma 90.00
loop_
_atom_site_label
_atom_site_type_symbol
_atom_site_fract_x
_atom_site_fract_y
_atom_site_fract_z
Yb1 Yb 0.000 0.074 0.250
In1 In 0.000 0.363 0.048
Pd1 Pd 0.000 0.207 0.750
# **Spin magnetization**: 0.00 μB per cell
# **V**: 21.44 A^3/atom
# **Total DFT energy (no corrections)**: -26.88 eV/atom



# 4
# YbInPd2 meta-GGA r2SCAN optimized geometry
data_YbInPd2
_space_group_name_H-M_alt 'F m -3 m'
_space_group_IT_number 225
_space_group_name_Hall '-F 4 2 3'
_cell_length_a 6.673
_cell_length_b 6.673
_cell_length_c 6.673
_cell_angle_alpha 90.00
_cell_angle_beta 90.00
_cell_angle_gamma 90.00
loop_
_atom_site_label
_atom_site_type_symbol
_atom_site_fract_x
_atom_site_fract_y
_atom_site_fract_z
Yb1 Yb 0.000 0.000 0.000
In1 In 0.000 0.000 0.500
Pd1 Pd 0.250 0.250 0.250
# **Spin magnetization**: 0.00 μB per cell
# **V**: 18.58 A^3/atom
# **Total DFT energy (no corrections)**: -27.18 eV/atom



# 5
# ZnInPd2 meta-GGA r2SCAN optimized geometry
data_ZnInPd2
_space_group_name_H-M_alt 'F m -3 m'
_space_group_IT_number 225
_space_group_name_Hall '-F 4 2 3'
_cell_length_a 6.327
_cell_length_b 6.327
_cell_length_c 6.327
_cell_angle_alpha 90.00
_cell_angle_beta 90.00
_cell_angle_gamma 90.00
loop_
_atom_site_label
_atom_site_type_symbol
_atom_site_fract_x
_atom_site_fract_y
_atom_site_fract_z
Zn1 Zn 0.000 0.000 0.000
In1 In 0.000 0.000 0.500
Pd1 Pd 0.250 0.250 0.250
# **Spin magnetization**: 0.00 μB per cell
# **V**: 15.83 A^3/atom
# **Total DFT energy (no corrections)**: -19.90 eV/atom



# 6
# PmInRh2 meta-GGA r2SCAN optimized geometry
data_PmInRh2
_space_group_name_H-M_alt 'F m -3 m'
_space_group_IT_number 225
_space_group_name_Hall '-F 4 2 3'
_cell_length_a 6.701
_cell_length_b 6.701
_cell_length_c 6.701
_cell_angle_alpha 90.00
_cell_angle_beta 90.00
_cell_angle_gamma 90.00
loop_
_atom_site_label
_atom_site_type_symbol
_atom_site_fract_x
_atom_site_fract_y
_atom_site_fract_z
Pm1 Pm 0.000 0.000 0.000
In1 In 0.000 0.000 0.500
Rh1 Rh 0.250 0.250 0.250
# **Spin magnetization**: 0.00 μB per cell
# **V**: 18.80 A^3/atom
# **Total DFT energy (no corrections)**: -25.81 eV/atom



# 7
# PmSmIn2 meta-GGA r2SCAN optimized geometry
data_PmSmIn2
_space_group_name_H-M_alt 'F m -3 m'
_space_group_IT_number 225
_space_group_name_Hall '-F 4 2 3'
_cell_length_a 7.655
_cell_length_b 7.655
_cell_length_c 7.655
_cell_angle_alpha 90.00
_cell_angle_beta 90.00
_cell_angle_gamma 90.00
loop_
_atom_site_label
_atom_site_type_symbol
_atom_site_fract_x